The title of this post is a reworking of the Green Movement's mantra of: "Think Globally - Act Locally"
Much has been written, both online and off about carrying this out in our efforts to address the crisis that this planet is in. Considerably less has been said about this concept in our "spiritual" development as a species, and as individuals.
Don't get me wrong, Mr Tollle, Mr Chopra are addressing this in their own ways, but implementing this as individuals takes some thought and occassionally some interaction with others on their own journeys.
Eckhart Tolle is definitely the most visible personality currently in the Self-Actualization "movement". He speaks and writes about the gradual enlightening of us as a species and it's implications long term for the very nature of our existence.
While I can't say I agree with all of his conclusions, I would agree that something will fundamentally change as this type of inner directed progress becomes more and more prevalent.
This conclusion does not ignore the fact that there is probably just as much written, spoken, posted and shouted declaring Mr Tolle to be an AntiChrist as there is in exploring what he actually has to say. Can you name one single time when real progress was not met with opposition if not open hostility and resistance?
And yet we have radio, television, an accurate globe for our map of the world, as well as a basic understanding of how we function as an organism. I say basic, as this whole area of our "spiritual" side and how it interacts with our physical selves is still mostly a mystery.
Dont' get me wrong, I see the amazing things being accomplished in this realm. It is obvious to me however, that the really cataclysmic type of advances are all in front of us.
## Records of crystals that have nothing to do with the page
____________
(a)
# ZrCrW

A relaxed ZrCrW crystal (GGA-PBEsol, Alexandria).

Properties
* SG: F-43m (216)

Lattice parameters (Å, degrees): 4.3655 4.3655 4.3655 60.00 60.00 60.00
Site moments in Bohr magnetons follow the coordinates.
Positions (direct):
Cr  0.0000  0.0000  0.0000  2.63
Zr  0.2500  0.2500  0.2500  -0.17
W  0.5000  0.5000  0.5000  -1.17



(b)
# ZrCrW

A relaxed ZrCrW crystal (GGA-PBEsol, Alexandria).

Properties
* SG: Imma (74)

Lattice parameters (Å, degrees): 5.1218 5.1687 5.1687 61.38 60.30 60.30
Positions (direct):
W  0.5000  0.0000  0.0000
W  0.5000  0.5000  0.5000
Cr  0.0000  0.0000  0.5000
Cr  0.5000  0.0000  0.5000
Zr  0.1228  0.6272  0.1272
Zr  0.8772  0.3728  0.8728



Energies relative to the most stable structure, in meV/atom: (a) 1645; (b) 0.

~~~~~

Here is an optimized crystal structure of TbGaGe4 from Alexandria. Energies are from PBE-GGA.

Properties
volume: 20.3 A^3/atom
final energy: -4.5069 eV per atom

Cell: 7.8712 7.8712 7.8712 Å, 90.00 90.00 90.00°
With the nearest neighbours (Å) after each atom.
Space group F-43m (No. 216)
Unique sites:
Tb 0.0000 0.0000 0.0000  12 Ge 3.26, 4 Ga 3.41
Ga 0.2500 0.2500 0.2500  12 Ge 3.26, 4 Tb 3.41
Ge 0.1247 0.1247 0.6247  6 Ge 2.78-2.79

=====

Here is an optimized crystal structure of LiCaAl2 from Alexandria. Energies are from PBE-GGA.

Properties
volume: 22.2 A^3/atom
final energy: -2.8970 eV per atom

Cell: 8.8588 3.5403 5.7773 Å, 90.00 101.96 90.00°
With the nearest neighbours (Å) after each atom.
Space group Cm (No. 8)
Unique sites:
Li 0.0000 0.0000 0.0000  5 Al 2.75-2.81, 1 Ca 2.99
Ca 0.2730 0.5000 0.3169  3 Li 2.99-3.24, 3 Al 3.09-3.17
Al 0.0319 0.5000 0.6350  3 Al 2.75-2.80, 2 Li 2.81
Al 0.2629 0.0000 0.8179  3 Al 2.75-2.80, 3 Li 2.75-2.78

=====

Here is an optimized crystal structure of InW3N from Alexandria. Energies are from PBE-GGA.

Properties
volume: 14.8 A^3/atom
final energy: -9.7322 eV per atom

Cell: 4.2017 4.2017 4.2017 Å, 90.00 90.00 90.00°
With the nearest neighbours (Å) after each atom.
Space group Pm-3m (No. 221)
Unique sites:
In 0.0000 0.0000 0.0000  12 W 2.97
W 0.0000 0.5000 0.5000  2 N 2.10
N 0.5000 0.5000 0.5000  6 W 2.10

~~~~~

Entry 1:
A plane-wave DFT calculation with PBE was carried out for a relaxed structure of Ba2SrTcO6.

```
Ba2SrTcO6
1.0
2.976 1.718 11.608
-2.976 1.718 11.608
0.000 -3.436 11.608
Ba Sr Tc O
4 2 2 12
Cartesian
0.000 0.000 4.942
0.000 0.000 10.619
0.000 0.000 24.205
0.000 0.000 29.882
0.000 0.000 14.310
0.000 0.000 20.514
0.000 0.000 0.000
0.000 0.000 17.412
-1.367 -0.790 16.279
0.000 -1.828 12.716
-1.583 0.914 12.716
-1.583 -0.914 22.108
0.000 -1.579 18.546
-1.367 0.790 18.546
1.368 -0.790 16.279
0.000 1.579 16.279
1.583 0.914 12.716
1.583 -0.914 22.108
0.000 1.828 22.108
1.368 0.790 18.546
```

E_form (uncorrected), eV/atom: -2.225
Size of the total moment, μB per formula unit: 1.0
Symmetry: R-3m
E, eV per atom: -6.790
D(E_F), states/eV per cell: 9.2


Entry 2:
____________
The type of sharing and coaching that is now being done, such as Mr Tolle's webclass with Oprah Winfrey makes the journey more accessible for many, but this is still mostly a solitary journey. One which will happen for each individual at a different pace, and in no set order.
This is why I say that it is important to Think Universally and yet Apply Internally.
If you seek confirmation of what you have been experiencing on your path, you will more often than not be frustrated, and in come cases ridiculed.
Our spiritual selves are definitely in a state of evolutionary flux. This is true for us whether we acknowledge it or not. Railing against it is as fruitless as complaining about the tide. It will just roll in anyway...
It probably shouldn't surprise me so much that most of the resistance to this comes from what passes as "Christianity". The very things that are shouted down due to "faith in the Bible" can be directly linked to things that Jesus spoke and taught about regularly.
On the other hand, the Bible speaks frequently about the importance of cleanliness, and yet at one time the "Christian Church" forbade bathing.
Just remember that all or your most important accomplishments in this arena will occur with no witnesses. The satisfaction that you draw from them must also come from within. This is not to say that they cannot be shared to a certain extent. Just don't be disappointed if you are unable to get the magnitude of what you experienced across. Your accomplishment remains.
And your accomplishment adds to that of us as a race as well on some level. So continue to Think Universally but remember that you must Apply Internally...
With all the uproar (both positive and negative) about the Eckhart Tolle/Oprah Winfrey webclass, I thought it might be good to take a look at the effect that this type of self development is having on an actual human life.
I came across a blog post in a Google Alert I that I have set up to keep me informed about just this kind of thing. Julie is a blogger that goes by the title of Nature Chick. Her blog is not about her spiritual progress, but about her life in general as many of the best blogs are.
# Calculated crystals that have nothing to do with the article
........
This record from Alexandria via LeMat-Bulk describes a geometry-optimized CrHRu2 structure. The functional is GGA-PBE.

raw total energy: -7.634 eV/atom
offset from the most stable computed form: 0.189 eV/atom
symmetry: I-42d

Structure (extended XYZ):
```
8
Lattice="-2.9312 2.9312 2.5259 2.9312 -2.9312 2.5259 2.9312 2.9312 -2.5259" Properties=species:S:1:pos:R:3 pbc="T T T"
Cr 0.0000 0.0000 0.0000
Cr 0.0000 2.9312 1.2630
H 2.9312 0.0000 1.2630
H 0.0000 0.0000 2.5259
Ru 1.4656 -0.9575 1.8945
Ru 1.9738 1.4656 0.6315
Ru 1.4656 3.8887 -0.6315
Ru 0.9575 1.4656 3.1574
```

~~~~~

A plane-wave DFT calculation with PBE was carried out for crystalline FePd4Au7 at its relaxed geometry. Values from VASP.

Quantum ESPRESSO input file:
```
&SYSTEM
  ibrav = 0, nat = 12, ntyp = 3
/
ATOMIC_SPECIES
Au 196.97 Au.upf
Fe 55.84 Fe.upf
Pd 106.42 Pd.upf
ATOMIC_POSITIONS angstrom
Au 6.061 -9.222 -1.212
Au 3.975 -4.172 -2.491
Au 2.987 -5.720 -0.084
Au 4.586 -7.196 3.295
Au 2.500 -2.146 2.016
Au 5.574 -5.648 0.887
Au -0.282 -2.246 0.917
Fe 0.000 0.000 0.000
Pd 3.450 -4.768 2.388
Pd 6.600 -8.250 1.333
Pd 1.962 -3.118 -0.530
Pd 5.111 -6.599 -1.585
CELL_PARAMETERS angstrom
-0.563 -4.491 1.834
4.855 -5.286 -4.949
4.269 -1.591 3.918
```

As for the formation energy: 0.204 eV/atom. The calculation puts the density of states at the Fermi level at 7.87 states/eV/f.u.



A plane-wave DFT calculation with PBE was carried out for crystalline FePdAu3 at its relaxed geometry. Values from VASP.

Quantum ESPRESSO input file:
```
&SYSTEM
  ibrav = 0, nat = 5, ntyp = 3
/
ATOMIC_SPECIES
Au 196.97 Au.upf
Pd 106.42 Pd.upf
Fe 55.84 Fe.upf
ATOMIC_POSITIONS angstrom
Au 2.502 0.000 0.000
Au 0.000 0.000 2.502
Au 0.000 2.502 0.000
Pd 0.000 0.000 0.000
Fe 2.502 2.502 2.502
CELL_PARAMETERS angstrom
5.004 0.000 0.000
0.000 5.004 0.000
0.000 0.000 5.004
```

As for the formation energy: 1.167 eV/atom. The calculation puts the density of states at the Fermi level at 10.64 states/eV/f.u.



A plane-wave DFT calculation with PBE was carried out for crystalline FePdPtAu at its relaxed geometry. Values from VASP.

Quantum ESPRESSO input file:
```
&SYSTEM
  ibrav = 0, nat = 4, ntyp = 4
/
ATOMIC_SPECIES
Pd 106.42 Pd.upf
Pt 195.08 Pt.upf
Fe 55.84 Fe.upf
Au 196.97 Au.upf
ATOMIC_POSITIONS angstrom
Pd 0.320 -2.307 -1.428
Pt 0.960 -6.921 -4.283
Fe 0.640 -4.614 -2.855
Au 0.000 0.000 0.000
CELL_PARAMETERS angstrom
-1.921 -2.774 -2.918
2.480 -2.062 -3.083
0.722 -4.393 0.290
```

As for the formation energy: -0.012 eV/atom. The calculation puts the density of states at the Fermi level at 3.20 states/eV/f.u.



A plane-wave DFT calculation with PBE was carried out for crystalline FePdPtAu at its relaxed geometry. Values from VASP.

Quantum ESPRESSO input file:
```
&SYSTEM
  ibrav = 0, nat = 4, ntyp = 4
/
ATOMIC_SPECIES
Au 196.97 Au.upf
Pt 195.08 Pt.upf
Pd 106.42 Pd.upf
Fe 55.84 Fe.upf
ATOMIC_POSITIONS angstrom
Au 0.405 2.410 5.593
Pt 1.810 1.006 7.764
Pd 1.815 1.000 3.482
Fe 0.409 2.406 1.721
........
Take a look at her post about The Power of Now and it's affect on her life HERE.
She doesn't seem to have become a zombie, or a self denying ascetic. Actually she just seems to have become someone that is enjoying life for the first time in quite a while.
I see, hear nor feel anything within this woman's experience to concern me for her emotional or spiritual wellbeing. What is more, I see no danger to her personal belief structure either.
We live in a society where dysfunction seems to be the norm instead of the exception, and not everyone has the resources, time or even the emotional strength and will to overcome their issues via intensive therapy.
So maybe this is a shortcut to a healthier life and world view that can allow a significant portion of the population to live a happier and more fulfilling life...
Invariably, the arguments against applying these tenets to life seem to be extreme interpretations of what Mr Tolle is saying.
This is not an isolated instance to approaching Self Development or Self Improvement issues. The answer to challenges to what is being said regarding by Mr. Tolle, is usually the same one to counter those against Deepak Chopra or even to the Bible.
You have to apply what is being said with balance.
Principles being taught, are taken out of context and discussed as if they are all encompassing, and not intended to be applied within the confines of a particular paradigm.
This is not balanced.
Balance is at the heart of what each of the three sources referenced above espouses. Tolle, Chopra and God are each all about applying principles in our lives with balance.
It is frequently stated that you can quote scriptures to defend almost any point of view that you wish. This is only true if you do so without the balancing influence of it's context.
Likewise, to say that Eckhart Tolle is advocating a total relinquishing of the concept of self, is not a balanced application of his intent. This particular principle must be viewed in the context of the current over emphasis on self that is prevalent in society today, which is just as unbalanced.
For that matter, if you want to criticize Eckhart Tolle for preaching a denial of self, you have to throw out most of the Bible as well anyway.
In approaching illnesses and other of life's problems by addressing all three aspects of a person's being, Dr Speed seems to be using balance, in my opinion.
No doubt I will be posting more about balance in future posts...